Alcohol abuse is associated with social, economic, psychological and physical challenges on the individual, family and the community. TSC is cognisant of the fact that some teachers are/have fallen victims to alcoholism leading to, among other issues, absence from work.
The TSC treats alcoholism among teachers as a chronic health problem that needs intervention by counsellors, colleagues and close family members and it has put systems in place to help the victims.
At the school level, once the immediate supervisor identifies a teacher who has an alcohol or drug-related problem, s/he should refer them to the Sub County or County Director, who in turn should refer the patient to the Wellness section at the TSC headquarters.
The Wellness officer will ask the teacher to bring a next of kin to help in the assessment of the case, before referring the victim to a rehabilitation or psychiatric facility.
Records of crystals, as found in the file
********
Starting from a structure optimized by DFT (PBE), the powder XRD pattern of Na8NbO6 was simulated for Cu Kα (weighted mean of Kα1 and Kα2).

Top 12 peaks for 15 to 90 degrees two-theta, in order of falling intensity:
2theta  Rel. int.
20.65  100
15.68  54
48.30  51
44.01  44
30.53  40
34.50  39
31.29  38
28.16  36
27.33  27
44.56  25
52.58  20
60.26  19

abc: 6.527 6.527 13.254
angles: 90.00 90.00 120.00
Fractional positions:
Na  0.000  0.303  0.000
Na  0.000  0.398  0.359
Na  0.000  0.602  0.859
Na  0.000  0.697  0.500
Na  0.303  0.000  0.000
Na  0.303  0.303  0.500
Na  0.333  0.667  0.140
Na  0.333  0.667  0.640
Na  0.398  0.000  0.359
Na  0.398  0.398  0.859
Na  0.602  0.000  0.859
Na  0.602  0.602  0.359
Na  0.667  0.333  0.140
Na  0.667  0.333  0.640
Na  0.697  0.000  0.500
Na  0.697  0.697  0.000
Nb  0.000  0.000  0.221
Nb  0.000  0.000  0.721
O  0.000  0.000  0.365
O  0.000  0.000  0.865
O  0.000  0.280  0.184
O  0.000  0.720  0.684
O  0.280  0.000  0.184
O  0.280  0.280  0.684
O  0.333  0.667  0.453
O  0.333  0.667  0.953
O  0.667  0.333  0.453
O  0.667  0.333  0.953
O  0.720  0.000  0.684
O  0.720  0.720  0.184

Starting from a structure optimized by DFT (PBE), the powder XRD pattern of Mg2MnCo3S8 was simulated for Cu Kα (weighted mean of Kα1 and Kα2).

Top 12 peaks for 15 to 90 degrees two-theta, in order of falling intensity:
2theta  Rel. int.
15.54  100
36.37  91
29.97  52
52.29  42
52.47  40
47.81  38
47.90  17
30.06  16
65.37  12
25.51  11
77.24  10
73.56  9

abc: 6.976 6.976 6.976
angles: 60.21 60.21 60.21
Fractional positions:
Mg  0.125  0.125  0.125
Mg  0.875  0.875  0.875
Mn  0.500  0.500  0.500
Co  0.000  0.500  0.500
Co  0.500  0.000  0.500
Co  0.500  0.500  0.000
S  0.264  0.264  0.698
S  0.264  0.698  0.264
S  0.268  0.268  0.268
S  0.302  0.736  0.736
S  0.698  0.264  0.264
S  0.732  0.732  0.732
S  0.736  0.302  0.736
S  0.736  0.736  0.302

Starting from a structure optimized by DFT (PBE), the powder XRD pattern of Ca2SnS4 was simulated for Cu Kα (weighted mean of Kα1 and Kα2).

Top 12 peaks for 15 to 90 degrees two-theta, in order of falling intensity:
2theta  Rel. int.
36.10  100
17.82  71
18.22  37
17.44  32
29.24  31
36.93  28
30.68  26
31.35  22
31.60  22
25.32  21
23.88  17
50.32  17

abc: 9.737 6.185 6.185
angles: 110.60 90.00 90.00
Fractional positions:
Ca  0.000  0.000  0.000
Ca  0.250  0.732  0.353
Ca  0.500  0.000  0.000
Ca  0.750  0.353  0.732
Sn  0.250  0.307  0.751
Sn  0.750  0.751  0.307
S  0.053  0.092  0.556
S  0.250  0.260  0.128
S  0.250  0.715  0.826
S  0.447  0.092  0.556
S  0.553  0.556  0.092
S  0.750  0.128  0.260
S  0.750  0.826  0.715
S  0.947  0.556  0.092

Starting from a structure optimized by DFT (PBE), the powder XRD pattern of SbXeF9 was simulated for Cu Kα (weighted mean of Kα1 and Kα2).

Top 12 peaks for 15 to 90 degrees two-theta, in order of falling intensity:
2theta  Rel. int.
19.83  100
20.18  76
25.65  64
22.43  35
24.63  34
20.54  24
42.32  23
40.30  18
30.35  18
18.08  17
********
If a teacher is admitted to any of the centres, s/he should write a letter to apply for sick leave to enable him/her go through the 90-day programme. This letter, accompanied with an admission letter from the facility should be brought to TSC (Wellness) to allow TSC write to the respective County Directors asking them to grant the sick leave.
Materials data, as found in the file:
'''
Simulated powder diffraction line list
Compound: PrHgBr3
Radiation: Cu Kα, 1.54184 Å
Structure: a cell relaxed with PBE

Structural model:
abc: 7.6501 7.6501 30.5806
angles: 90.00 90.00 120.00
Space group R-3 (No. 148, hexagonal axes)
Asymmetric unit:
Pr 0.0000 0.0000 0.1669 [6 per cell]
Hg 0.0000 0.0000 0.3411 [6 per cell]
Br 0.0008 0.6226 0.5553 [18 per cell]

Principal peaks in the range 2θ from 10° to 80°, low angle first:
two_theta	I_rel
14.6	47
17.4	14
17.7	39
23.3	24
24.9	35
29.2	100
40.9	32
42.6	32
51.0	18
67.3	15


Diffraction record for Ac2MgInSe5. The powder diffractogram is calculated, not measured: it uses the GGA-PBE geometry in Alexandria and Cu Kα (λ = 1.5418 Å).

Structural model:
abc: 9.1881 9.1881 12.8631
angles: 90.00 90.00 152.62
Positions (direct):
Ac: 0.1148 0.8852 0.5000
Ac: 0.1391 0.8609 0.1183
Ac: 0.8609 0.1391 0.6183
Ac: 0.8852 0.1148 0.0000
Mg: 0.2072 0.7928 0.8282
Mg: 0.7928 0.2072 0.3282
In: 0.4591 0.5409 0.2739
In: 0.5409 0.4591 0.7739
Se: 0.0543 0.9457 0.8920
Se: 0.2859 0.7141 0.4702
Se: 0.3133 0.6867 0.1752
Se: 0.3584 0.6416 0.8124
Se: 0.4917 0.5083 0.5763
Se: 0.5083 0.4917 0.0763
Se: 0.6416 0.3584 0.3124
Se: 0.6867 0.3133 0.6752
Se: 0.7141 0.2859 0.9702
Se: 0.9457 0.0543 0.3920

Largest 10 diffraction maxima, most intense first, 10° ≤ 2θ ≤ 90°:
2θ/deg  I_rel
29.69  100.0
25.22  53.9
28.95  50.3
38.81  45.9
30.84  45.9
41.53  40.8
32.44  40.1
36.34  33.4
23.01  33.0
35.39  28.4

=====

Diffraction record for BeAg4. The powder diffractogram is calculated, not measured: it uses the GGA-PBE geometry in Alexandria and Cu Kα (λ = 1.5418 Å).

Structural model:
abc: 2.8611 2.8611 11.8628
angles: 90.00 90.00 120.00
Positions (direct):
Be: 0.0000 0.0000 0.0000
Ag: 0.3333 0.6667 0.6048
Ag: 0.3333 0.6667 0.8417
Ag: 0.6667 0.3333 0.1583
Ag: 0.6667 0.3333 0.3952

Largest 10 diffraction maxima, most intense first, 10° ≤ 2θ ≤ 90°:
2θ/deg  I_rel
37.07  100.0
47.84  51.8
30.13  42.1
43.08  39.3
36.25  31.5
53.47  26.6
65.22  22.6
74.58  19.1
73.50  17.7
37.92  15.8


(1)
This entry pairs a crystal structure of Pm2HIr with its simulated powder X-ray diffraction pattern. Radiation: Cu Ka. Structure: the GGA-PBE geometry in Alexandria.

Atomic structure:
```
Pm2HIr
1.0
3.603 0.000 0.000
0.000 3.603 0.000
0.000 0.000 12.550
Pm H Ir
4 2 2
direct
0.000 0.000 0.134
0.000 0.000 0.866
0.500 0.500 0.366
0.500 0.500 0.634
0.000 0.500 0.250
0.500 0.000 0.750
0.000 0.000 0.500
0.500 0.500 0.000
```

Peak list (10 most intense, 5 to 70 degrees two-theta, by angle)
d_spacing	intensity
6.275	24
2.730	100
2.548	52
2.361	9
2.060	27
1.801	19
1.617	9
1.569	5
1.504	33
1.356	14

---

(2)
This entry pairs a crystal structure of Tb2AsS6 with its simulated powder X-ray diffraction pattern. Radiation: Cu Ka. Structure: the GGA-PBE geometry in Alexandria.

Atomic structure:
```
Tb2AsS6
1.0
6.119 0.000 0.000
0.000 6.119 0.000
0.000 0.000 11.931
Tb As S
4 2 12
direct
0.000 0.000 0.164
0.000 0.000 0.836
0.500 0.500 0.336
0.500 0.500 0.664
0.000 0.000 0.500
'''
Often, a teacher is discharged after the 90 days, after which, s/he should report to TSC Wellness section with a discharge summary and a certificate from the facility for a recommendation to be posted to a school.
Whether you are a head of institution, a colleague or a spouse of a teacher with a drinking problem, you can play a critical role in offering psychosocial support by doing the following;
-- These data records were left in the entry by mistake --
+++
Computed powder XRD pattern
Compound: NpHgRh2
Radiation: Cu Kα
Structure: DFT lattice parameters and positions (PBE)
No peak broadening, texture or thermal motion is included.

Crystal structure
```
NpHgRh2
1.0
4.458 0.000 0.000
0.000 4.458 0.000
0.000 0.000 3.688
Np Hg Rh
1 1 2
Cartesian
0.000 0.000 0.000
2.229 2.229 0.000
0.000 2.229 1.844
2.229 0.000 1.844
```

Most intense lines, 2θ = 10–90°, in order of falling intensity:
index, 2θ/deg, intensity
1 1 1, 37.54, 100.0
2 0 0, 40.47, 40.6
3 1 1, 71.67, 30.5
2 0 2, 65.72, 19.6
2 2 0, 58.57, 13.9
1 1 0, 28.31, 11.8
0 0 2, 49.43, 11.5
2 2 2, 80.10, 11.4

----------

Diffraction record for ZnCrO2. The powder X-ray diffraction pattern is calculated, not measured: it uses a DFT-relaxed cell (PBE+U, the Materials Project) and Cu Ka.

Top 6 peaks for 10° ≤ 2θ ≤ 90°, low angle first:
| d (Å) | two_theta | I/Imax | index |
| --- | --- | --- | --- |
| 2.733 | 32.76 | 77 | 0 1 3 |
| 2.594 | 34.57 | 51 | 0 2 -2 |
| 2.547 | 35.24 | 100 | 1 1 -1 |
| 2.532 | 35.45 | 51 | 0 3 1 |
| 1.905 | 47.74 | 30 | -1 2 2 |
| 1.487 | 62.44 | 33 | 2 1 1 |

Crystal structure
Cell: 2.975 7.795 8.489 Å, 79.41 80.46 80.24°
Positions (direct):
Zn 0.000 0.000 0.000
Zn 0.190 0.332 0.257
Zn 0.606 0.613 0.160
Zn 0.795 0.946 0.417
Cr 0.230 0.758 0.789
Cr 0.567 0.187 0.628
Cr 0.835 0.349 0.951
Cr 0.962 0.598 0.464
O 0.179 0.130 0.453
O 0.302 0.500 0.880
O 0.356 0.175 0.076
O 0.441 0.771 0.340
O 0.502 0.443 0.526
O 0.618 0.815 0.964
O 0.803 0.765 0.629
O 0.995 0.180 0.787

----------

1.
Structure and computed X-ray powder pattern of Tb2Pm3Cd2 (the PBE geometry in Alexandria; Cu Kα (λ = 1.5418 Å)).
No peak broadening, texture or thermal motion is included.

Crystal structure
```
data_Tb2Pm3Cd2
_chemical_formula_sum 'Tb6 Pm9 Cd6'
_symmetry_space_group_name_H-M 'R -3 m'
_symmetry_Int_Tables_number 166
_symmetry_space_group_name_Hall '-R 3 2"'
_cell_length_a 5.4756
_cell_length_b 5.4756
_cell_length_c 24.2276
_cell_angle_alpha 90.00
_cell_angle_beta 90.00
_cell_angle_gamma 120.00
loop_
_atom_site_label
_atom_site_type_symbol
_atom_site_fract_x
_atom_site_fract_y
_atom_site_fract_z
_atom_site_occupancy
Tb1 Tb 0.0000 0.0000 0.0738 1
Pm1 Pm 0.0000 0.0000 0.3419 1
Pm2 Pm 0.0000 0.0000 0.5000 1
Cd1 Cd 0.0000 0.0000 0.2106 1
```

Most intense lines, 10° ≤ 2θ ≤ 90°, low angle first:
2theta, d [Å], Rel. int., index
26.30, 3.389, 8, 0 1 5
32.01, 2.796, 92, 1 0 7
32.71, 2.738, 100, 1 1 0
46.42, 1.956, 33, 0 2 7
56.63, 1.625, 18, 0 1 14
57.94, 1.592, 33, 2 1 7
58.38, 1.581, 19, 3 0 0
66.94, 1.398, 7, 2 0 14
68.55, 1.369, 12, 2 2 0
76.53, 1.245, 12, 1 2 14
77.67, 1.229, 14, 1 3 7
86.85, 1.122, 5, 4 0 7

***

2.
Structure and computed X-ray powder pattern of Tb2Pm4Cd (the PBE geometry in Alexandria; Cu Kα (λ = 1.5418 Å)).
No peak broadening, texture or thermal motion is included.

Crystal structure
```
data_Tb2Pm4Cd
_chemical_formula_sum 'Tb4 Pm8 Cd2'
_symmetry_space_group_name_H-M 'C m m m'
_symmetry_Int_Tables_number 65
+++
Head of Institution
- Offer advice to the teacher at a personal level.
- Have an external addiction counsellor talk with the teacher.
- Involve the teacher’s spouse or a trusted relative to persuade him/her to moderate the habit.
- Take the necessary administrative action to facilitate admission to a rehabilitation facility.
Fellow Teachers
- Do not condemn or profile victims.
- Do not abet their behaviour by covering them up when absent, attending their lessons, or giving them money for drinks.
- Introduce them to recovering addicts groups such as the Alcoholic Anonymous (AA) fellowship.
- Show the alcoholic love and try to understand him/her.
- Try to find out if there are underlying issues beneath the addiction and assist them where you can.
- Don’t give up on an alcoholic but ensure that s/he gets a meal and a change of clothes daily. Denying them such privileges worsens the situation and they become unkempt and malnourished, making them vulnerable to other medical conditions.
- Communicate with the head of institution, Sub County Director or County Director for a joint rescue strategy.
- Persuade and assist them to go for rehabilitation.